Your job: reproduce the lines below from the one with "CsTlPdBr4 was" to the one with "2.109, 42.9," without additions.

-- begin --
Record 1
Starting from DFT lattice parameters and positions (GGA-PBE), the XRD peak list of CsTlPdBr4 was computed for Cu Kα, 1.54184 Å.
Peak positions follow from Bragg's law for the DFT cell and can differ from measured ones.

Top 12 peaks for 15 to 90 degrees two-theta, in order of rising 2θ:
d (Å), two_theta, I (rel.), (hkl)
5.421, 16.4, 32, 0 1 1
3.921, 22.7, 14, 1 1 0
3.511, 25.4, 100, 1 1 1
2.996, 29.8, 47, 1 0 2
2.900, 30.8, 46, 1 2 0
2.710, 33.1, 70, 0 2 2
2.304, 39.1, 24, 2 0 0
2.183, 41.4, 25, 1 1 3
2.109, 42.9, 22, 1 3 1
1.756, 52.1, 38, 2 2 2
1.682, 54.6, 14, 1 3 3
1.584, 58.3, 13, 1 4 2

Cell and atoms:
abc: 4.608 7.463 7.886
angles: 90.00 90.00 90.00
Space group Pmmm (No. 47)
Unique sites:
Cs 0.000 0.000 0.000
Tl 0.000 0.500 0.500
Pd 0.500 0.000 0.500
Br 0.500 0.238 0.281

Record 2
Starting from DFT lattice parameters and positions (GGA-PBE), the XRD peak list of Tb4SiPd3 was computed for Cu Kα, 1.54184 Å.
Peak positions follow from Bragg's law for the DFT cell and can differ from measured ones.

Top 12 peaks for 15 to 90 degrees two-theta, in order of rising 2θ:
d (Å), two_theta, I (rel.), (hkl)
3.072, 29.1, 67, 1 1 1
2.789, 32.1, 100, 0 1 2
2.686, 33.4, 89, 2 0 -1
2.509, 35.8, 99, 1 1 -2
2.299, 39.2, 43, 1 0 3
2.255, 40.0, 88, 2 1 1
2.076, 43.6, 47, 0 2 0
1.789, 51.1, 30, 1 0 -4
1.643, 56.0, 46, 2 2 -1
1.541, 60.0, 24, 1 2 3
1.355, 69.4, 23, 1 2 -4
1.230, 77.6, 22, 3 2 -3

Cell and atoms:
abc: 5.749 4.152 7.528
angles: 90.00 90.18 90.00
Space group Pm (No. 6)
Unique sites:
Tb 0.000 0.000 0.000
Tb 0.236 0.000 0.498
Tb 0.499 0.500 0.133
Tb 0.735 0.500 0.645
Si 0.229 0.500 0.776
Pd 0.014 0.500 0.274
Pd 0.500 0.000 0.857
Pd 0.712 0.000 0.361

What is the formula in the second record?
Tb4SiPd3

* * * * *

(1)
Theoretical XRD peak list
Compound: ZrHgIr
Radiation: λ = 1.5418 Å (Cu Kα)
Structure: a structure optimized by DFT (GGA-PBE)
Kinematic intensities with the Lorentz-polarization factor, no thermal factor.

Principal peaks in the range 5 to 70 degrees two-theta, sorted by position:
(hkl)  2theta  I/Imax
2 0 -1  19.56  20
3 1 0  32.07  40
3 1 -1  34.16  100
0 0 2  34.24  38
4 0 1  36.30  25
3 1 1  38.66  61
6 0 -1  42.78  32
3 1 -2  43.89  37
1 1 2  44.07  35
0 2 0  48.77  28

Structural model:
```
data_ZrHgIr
_cell_length_a 12.909
_cell_length_b 3.734
_cell_length_c 5.364
_cell_angle_alpha 90.00
_cell_angle_beta 102.44
_cell_angle_gamma 90.00
_symmetry_space_group_name_H-M 'C 1 2/m 1'
_symmetry_Int_Tables_number 12
loop_
_symmetry_equiv_pos_as_xyz
'x,y,z'
'-x,-y,-z'
'-x,y,-z'
'x,-y,z'
'x+1/2,y+1/2,z'
'-x+1/2,-y+1/2,-z'
'-x+1/2,y+1/2,-z'
'x+1/2,-y+1/2,z'
loop_
_atom_site_label
_atom_site_fract_x
_atom_site_fract_y
_atom_site_fract_z
Zr1 0.147 0.000 0.337
Hg1 0.059 0.500 0.780
Ir1 0.236 0.000 0.823
```


(2)
Theoretical XRD peak list
Compound: Zr5Hg4Ir
Radiation: λ = 1.5418 Å (Cu Kα)
Structure: a structure optimized by DFT (GGA-PBE)
Kinematic intensities with the Lorentz-polarization factor, no thermal factor.

Principal peaks in the range 5 to 70 degrees two-theta, sorted by position:
(hkl)  2theta  I/Imax
0 0 5  21.62  11
1 0 0  27.99  12
1 0 5  35.64  100
1 1 0  40.00  38
0 0 10  44.05  12
1 1 5  45.92  7
1 0 10  53.01  5
2 0 0  57.85  13
1 1 10  61.01  18
2 1 5  69.83  28

Structural model:
```
data_Zr5Hg4Ir
_cell_length_a 3.188
_cell_length_b 3.188
_cell_length_c 20.556
_cell_angle_alpha 90.00
_cell_angle_beta 90.00
_cell_angle_gamma 90.00
_symmetry_space_group_name_H-M 'P 4/m m m'
_symmetry_Int_Tables_number 123
_symmetry_space_group_name_Hall '-P 4 2'
loop_
_atom_site_label
_atom_site_fract_x
_atom_site_fract_y
_atom_site_fract_z
Zr1 0.000 0.000 0.000
Zr2 0.000 0.000 0.205
Zr3 0.000 0.000 0.414
Hg1 0.500 0.500 0.103
Hg2 0.500 0.500 0.308
Ir1 0.500 0.500 0.500
```


(3)
Theoretical XRD peak list
Compound: K2Hg3
Radiation: λ = 1.5418 Å (Cu Kα)
Structure: a structure optimized by DFT (GGA-PBE)
Kinematic intensities with the Lorentz-polarization factor, no thermal factor.
-- stop --

Starting from DFT lattice parameters and positions (GGA-PBE), the XRD peak list of CsTlPdBr4 was computed for Cu Kα, 1.54184 Å.
Peak positions follow from Bragg's law for the DFT cell and can differ from measured ones.

Top 12 peaks for 15 to 90 degrees two-theta, in order of rising 2θ:
d (Å), two_theta, I (rel.), (hkl)
5.421, 16.4, 32, 0 1 1
3.921, 22.7, 14, 1 1 0
3.511, 25.4, 100, 1 1 1
2.996, 29.8, 47, 1 0 2
2.900, 30.8, 46, 1 2 0
2.710, 33.1, 70, 0 2 2
2.304, 39.1, 24, 2 0 0
2.183, 41.4, 25, 1 1 3
2.109, 42.9, 22, 1 3 1